Category Archives: Education

Second Day of School

I teach a technology course for school leaders seeking a master’s degree. Most will become school or division leaders such as principals or curriculum specialists. Normally, the course is fully face to face during the fall semester.

This year, I am implementing a blended, mostly online approach, with weekly synchronous meetings.  We will have three face to face meetings. Last week, we met on campus to get to know each other and make sure everyone was comfortable with the tools we were going to be using to do our work during the semester. More on those tools in another post.

Tonight was our first online meeting using Zoom as our interface. There are 7 students in the class, which seems like a good number for an online meeting, particularly because I wanted to use video and audio. It was good to see their faces, and I think it facilitated conversation. My face to face class is very interactive. My students have a variety of professional experiences related to educational technology that can inform their understanding and provide diverse perspectives to their classmates. We talk a lot about how our work connects with standards and research and practice.

And, we did that tonight. We spent time making sure everyone was comfortable with the Zoom room. We used the text chat and then video discussion to explore the topic of technology transformation. My one technology glitch was that they couldn’t hear the audio on a video. I’ll explore that more this week as I do want us to have some communal viewings.

At the end, I asked what they thought, as many of them hadn’t had an online course or even used Zoom. I got positive feedback and am excited about exploring the possibilities. There are some drawbacks that I will explore in another post.

For now, I am a happy teacher: I had an engaging few hours with some thoughtful, smart educators that allowed me to be closer to my base while they could go home and relax a bit before we connected.

I did do one thing to make sure we would be successful: I am renting office space in the small town next to my farm. The internet at my house is problematic: our potential cable provider has refused to provide us with broadband so we are stuck with DSL, and it is notoriously unreliable. I didn’t want to take any chances with losing connectivity during class. It was the right decision.

I had honestly forgotten what good internet was like…I’ve already messaged the landlord about creating a co-working space. I don’t need daily access but knowing I had a place to go for important meetings and large file uploads would be reassuring.

Live Local

I live in the country, just on the edge of small incorporated town between Richmond and Virginia Beach. We love living here but have had to learn to do without suburban luxuries like dry cleaners, public transportation and a decent grocery store. What we do have is local health care.

There is a medical center in our town, just a few minutes from my house, and the nurse practitioner can do almost anything the doctor might do. I went in to see what we might do about my bad hip and immediately got the referral I needed. They even skipped x-rays to save some money as they knew the orthopedist was going to want his own.

I, of course, ended up in the big city for the orthopedist but it turns out the physical therapist is just in the next little town over from me. What a lovely surprise!

At my first session this week, I  joined a group of local folks in the workout room who were obviously enjoying the fellowship along with the exercise. They welcomed me right into the group. I recognized one lady from the library, and we chatted while we did our stretches and steps. When I woke up the next day, I realized it as all part of their evil plan: chat, laugh and forget that you are moving muscles that haven’t been moved for awhile!

Having supportive , local community as part of my care seems important. Yet, this same county closed their three local elementary schools some years ago in favor of a centralized campus. I understand the practical reasons, and the students did gain in the deal. As with many rural areas, enrollments are dropping so there is less funding even as the aging buildings need major repairs and updates for technology. One elementary school on a central campus with the rest of the schools helps reduce busing costs.  And, the students are able to learn in a new building with updated architecture, functioning technology and strong infrastructure. It is modern and welcoming.

What do you lose? Community. That small town feeling. Parents could chat with teachers as they picked up kids to walk them home or stop by to help with a classroom activity because it was in the neighborhood or regularly attend parent/teacher conferences. Because we are a low-income area, many town citizens do not have ready access to a car so getting to the events at the elementary school is not so easy now.

Attached: molecular data:
____________
[1]
Molecular formula: C34H43Br2ClF8NO7S
Method: DFT, wB97M-V/def2-TZVPD

E_LUMO (eV): -3.8726
HOMO energy (hartree): -0.42723
Charge: +1
Orbital gap (eV): 7.8

Last column: Mulliken charge in e.
Atoms and positions in Å:
C -1.798 3.668 0.440  -0.778
C -1.735 3.770 1.961  -0.765
C -0.927 2.629 2.618  -0.070
Cl -0.303 3.074 4.234  -0.090
C 0.188 2.032 1.790  0.385
C 1.326 2.783 1.409  1.554
S 1.458 4.451 2.023  0.016
C 2.331 2.210 0.621  0.992
C 3.539 2.991 0.170  -1.300
Br 4.665 3.368 1.721  0.023
C 3.201 4.198 -0.749  -0.117
C 3.976 5.481 -0.501  -1.786
N 2.214 0.893 0.251  0.319
C 3.272 0.278 -0.608  -1.549
C 3.056 0.687 -2.054  -0.454
O 1.767 0.316 -2.497  -0.365
C 0.838 1.365 -2.534  -0.316
C -0.217 1.116 -3.603  0.734
F -0.804 2.303 -3.866  -0.293
F 0.360 0.679 -4.734  -0.321
C -1.334 0.129 -3.136  0.505
F -0.855 -0.686 -2.177  -0.326
F -2.301 0.871 -2.561  -0.327
C -1.990 -0.720 -4.254  0.537
F -2.139 0.012 -5.363  -0.304
F -3.219 -1.052 -3.817  -0.276
C -1.254 -2.042 -4.593  0.092
F 0.071 -1.912 -4.363  -0.225
F -1.718 -3.035 -3.827  -0.236
C 1.142 0.125 0.609  -0.142
C 1.057 -1.304 0.169  -1.978
C 1.424 -2.308 1.290  -0.114
C 2.922 -2.392 1.620  -1.494
C 3.653 -3.550 0.925  -0.480
C 3.136 -4.880 1.443  -0.603
O 4.188 -5.857 1.347  -0.333
C 3.733 -7.115 1.136  0.687
C 4.423 -7.850 0.036  -1.003
O 2.856 -7.577 1.780  -0.509
C 0.094 0.679 1.370  1.658
C -1.156 -0.129 1.667  -1.515
C -1.210 -0.782 3.080  0.004
C -2.273 -0.205 4.028  -1.270
Br -1.683 -2.680 2.833  -0.168
H -2.551 4.363 0.080  0.524
H -0.852 3.974 0.000  0.081
H -2.085 2.668 0.118  0.055
H -1.318 4.721 2.267  0.405
H -2.732 3.707 2.390  0.515
H -1.651 1.872 2.840  -0.866
H 1.469 5.134 0.873  0.152
H 4.196 2.384 -0.419  0.507
H 2.130 4.376 -0.712  0.257
H 3.405 3.896 -1.775  0.345
H 5.043 5.284 -0.543  0.446
H 3.712 5.970 0.429  0.344
H 3.769 6.163 -1.323  0.458
H 4.228 0.621 -0.233  0.626
H 3.268 -0.786 -0.475  0.459
H 3.223 1.752 -2.194  0.047
H 3.787 0.182 -2.683  0.624
H 0.298 1.497 -1.590  -0.178
H 1.288 2.329 -2.778  0.648
H -1.407 -2.266 -5.647  0.290
H 0.060 -1.523 -0.190  0.125
H 1.689 -1.501 -0.684  1.331
H 1.044 -3.271 0.968  0.639
H 0.911 -2.008 2.196  -0.483
H 3.441 -1.449 1.469  0.371
H 2.998 -2.593 2.687  0.627
H 4.692 -3.483 1.241  0.378
H 3.564 -3.487 -0.157  0.236
H 2.813 -4.809 2.479  0.256
H 2.283 -5.223 0.859  0.385
H 3.774 -8.633 -0.328  0.328
H 5.361 -8.259 0.404  0.279
H 4.671 -7.157 -0.763  0.313
H -2.008 0.516 1.528  0.440
H -1.299 -0.918 0.942  0.408
H -0.238 -0.715 3.558  0.724
H -2.671 -0.981 4.666  0.532
H -3.089 0.204 3.441  0.198
H -1.854 0.610 4.612  0.303
C -5.780 1.438 0.412  -1.352
C -6.871 1.461 -0.372  0.522
C -7.402 0.213 -1.037  1.023
O -8.401 0.329 -1.715  -0.603
C -6.691 -1.037 -0.828  -0.857
C -5.604 -1.054 -0.046  0.337
C -5.091 0.189 0.627  0.811
O -4.092 0.068 1.327  -0.413
O -4.901 -2.154 0.198  -0.628
O -7.559 2.556 -0.624  -0.577
H -5.393 2.325 0.894  0.522
H -7.070 -1.923 -1.317  0.459
H -4.181 -1.904 0.807  0.259
____________

Think global, act local is one mantra. I would like to change it to LIVE local. Yes, Walmart has better prices, but it is nice to have a local pharmacy like the one where I bought a birthday card and a candy bar after PT today. Yes, I can get books from anywhere any time, but I don’t get to catch up on the town news like I do when I go to the library. And, yes, a central campus consolidates services but just what do we lose?


Settling for Two Stars

I am not much of a gamer, but I do like to play single player time management building games. The one I’m playing right now is Kingdom Chronicles 2. It is a typical game set in something of a Medieval type setting:  you collect resources, build farms, sawmills, quarries and diamond mines that produce additional resources that you use to clear roads and destroy enemies. It is a somewhat mindless diversion, but each level brings different challenges that require some strategy to solve. And, as it involves time, there is a reward for finishing quickly: you get three stars. (There are also points involved but I haven’t gotten that involved in how they work.) I go for the stars.

In Kingdom Chronicles 1, I was able to fairly easily earn three stars on my first try on each level. There were a couple later levels where a surprise part of the way through the level made me rethink my strategy and required a second try.  Finally, there were just a couple that sent me looking for cheats and video tutorials.

Kingdom Chronicles 2, on the other hand, has been much more challenging. At first, I stuck with my usual approach to playing: don’t move on until I’ve gotten three stars. But, even with the support of videos, I got stuck on a level.  I like the game, but playing the same level over and over with similar results was boring and I didn’t seem any closer to getting that third star.

So, I moved on. And I got two stars on the next level, and the next one, and pretty much every level since. I haven’t given up on that coveted third star, and  I’ve tried each one at least twice. For those where I seemed close, I may have watched a video or two.

Mostly, I just decided I wanted to play the game, and I was willing to settle for two stars. I wonder how this might apply to kids and school: we’ve all known kids who likes school, engage with classes, but don’t necessarily care about the grade. It is an external motivation that can take away the intrinsic joy of an activity.

Maybe some day, I’ll return and work on those three stars but for now, I’m settling for two and enjoying the game.


Short Bits: Nuance

For now, in order to get in the habit of blogging, I’m going with pieces I am calling “short bits.” Basically, what I am thinking about it. Sheri Edwards, the blogging mentor to us all, calls them blog shorts and has a wonderful introduction here.  So, my short bits are blog shorts.

This one is simply about the seeming lack of nuance in all sorts of places, due I think, in large part to our continued distraction with media. We want quick answers and memes to share, diving into the ever flowing stream of stuff, generating quick comments but never really digging deeper than the surface. We label things good and bad, and certainly there are examples of both of those in the world, but there are also nuances of good and bad. Events are often more complicated than they seem. Zero tolerance policies almost never work. And, teachers and students and content and pedagogy overlap in complex ways that do not always lend themselves to easy charts or frameworks or continuums or, for that matter, 280 characters on Twitter.  Whenever someone says you should ALWAYS or NEVER, I want to shout, “It depends!”

But, in the interest of seeing nuances myself,  there ARE good conversations going on within communities, including Twitter. The #clmooc has made long term use of the web to connect around creativity and collaboration. I am sorry I missed the #clmooc book discussion about affinity communities online. Participation in these kinds of groups allows users to access  the power behind the tools when wielded with a mission of authentic connection.


Just Because You Can Look It Up, Should You?

I saw a comment on Twitter recently suggesting that teachers should never tell students things that they could look up. It struck me as one of those zero sum statements that are not helpful as we try to navigate the changing relationship between teachers and students. Teachers have expert knowledge to share that can help students move forward with their own learning more efficiently. Finding the balance of when to share and when to encourage students to explore on their own is, in my humble opinion, part of the art of teaching.

I think the spirit of the statement was probably related to teachers telling students lots of stuff the don’t need to know to move forward efficiently, and the balance must include some consideration of how much knowledge students might need to get started and the best way for them to gather that knowledge. For instance, I observed in a project-based learning high school for several years where ALL direct instruction was banned. A math teacher shared that, as she worked with her 9th graders on a three-dimensional construction project, she realized that many of them did not know how to use a ruler. She felt that she could get everyone up and running pretty quickly with a short full group lesson but was worried about violating the pedagogical rules. Of course, they could look up how to use a ruler and helping them learn how to learn might be a valuable lesson for them, but in the context of the project, she could move things along in ten minutes of instruction.

Rather than imposing rules, we need to trust teachers to make good decisions about the needs of their students. Strict pedagogical rules–whether conservative or liberal–do not help anyone, serving only to create frustration and even fear in professional educators. As connected educators, we recognize the value of community and shared expertise as part of the learning process and often ask questions of our colleagues that, theoretically, we could have looked up ourselves whether we are doing so on Twitter or around the lunch table.

Perhaps we should start thinking of our students as those colleagues. That changes the dynamic, and those quick questions between colleagues can help keep them on track with their larger project.